# Material
/*
No. 1
VASP calculation (PBE-GGA) on a relaxed LiLaW2 crystal. Values from VASP.

Quantum ESPRESSO input file:
```
&SYSTEM
  ibrav = 0, nat = 4, ntyp = 3
/
ATOMIC_SPECIES
Li 6.94 Li.upf
La 138.91 La.upf
W 183.84 W.upf
ATOMIC_POSITIONS crystal
Li 0.000 0.000 0.000
La 0.500 0.500 0.310
W 0.000 0.000 0.577
W 0.500 0.500 0.773
CELL_PARAMETERS angstrom
1.619 -2.456 0.000
1.619 2.456 0.000
0.000 0.000 10.166
```

Properties
As for the magnetization: 0.00 μB per formula unit. The uncorrected energy is -7.69 eV/atom. As for the volume: 20.21 Å³ per atom. The offset from the most stable computed form is 17 kJ/mol of formula units. The density of states at the Fermi level is 3.63 states/eV/f.u.

***

No. 2
VASP calculation (PBE-GGA) on a relaxed TlRe2Ag crystal. Values from VASP.

Quantum ESPRESSO input file:
```
&SYSTEM
  ibrav = 0, nat = 4, ntyp = 3
/
ATOMIC_SPECIES
Tl 204.38 Tl.upf
Re 186.21 Re.upf
Ag 107.87 Ag.upf
ATOMIC_POSITIONS crystal
Tl 0.000 0.000 0.000
Re 0.533 0.533 0.000
Re 0.728 0.228 0.500
Ag 0.264 0.764 0.500
CELL_PARAMETERS angstrom
-1.889 2.332 4.105
1.889 -2.332 4.105
1.889 2.332 -4.105
```

Properties
As for the magnetization: 0.00 μB per formula unit. The uncorrected energy is -6.62 eV/atom. As for the volume: 18.09 Å³ per atom. The offset from the most stable computed form is 171 kJ/mol of formula units. The density of states at the Fermi level is 3.74 states/eV/f.u.

***

No. 3
VASP calculation (PBE-GGA) on a relaxed YNi2Te crystal. Values from VASP.

Quantum ESPRESSO input file:
```
&SYSTEM
  ibrav = 0, nat = 4, ntyp = 3
/
ATOMIC_SPECIES
Y 88.91 Y.upf
Ni 58.69 Ni.upf
Te 127.60 Te.upf
ATOMIC_POSITIONS crystal
Y 0.000 0.000 0.000
Ni 0.000 0.000 0.440
Ni 0.500 0.500 0.239
Te 0.500 0.500 0.630
CELL_PARAMETERS angstrom
3.432 0.000 0.000
0.000 3.432 0.000
0.000 0.000 6.378
```

Properties
As for the magnetization: 0.00 μB per formula unit. The uncorrected energy is -5.51 eV/atom. As for the volume: 18.78 Å³ per atom. The value obtained for the energy relative to the elements, uncorrected is -0.2145 eV/atom. The density of states at the Fermi level is 3.06 states/eV/f.u.

***

No. 4
VASP calculation (PBE-GGA) on a relaxed LiZnGe3 crystal. Values from VASP.

Quantum ESPRESSO input file:
```
&SYSTEM
  ibrav = 0, nat = 5, ntyp = 3
/
ATOMIC_SPECIES
Li 6.94 Li.upf
Zn 65.41 Zn.upf
Ge 72.64 Ge.upf
ATOMIC_POSITIONS crystal
Li 0.000 0.000 0.000
Zn 0.500 0.500 0.500
Ge 0.000 0.500 0.500
Ge 0.500 0.000 0.500
Ge 0.500 0.500 0.000
CELL_PARAMETERS angstrom
4.905 0.000 0.000
0.000 4.905 0.000
0.000 0.000 4.905
```

Properties
As for the magnetization: 0.00 μB per formula unit. The uncorrected energy is -2.95 eV/atom. As for the volume: 23.60 Å³ per atom. The offset from the most stable computed form is 0 kJ/mol of formula units. The density of states at the Fermi level is 2.22 states/eV/f.u.

***

No. 5
VASP calculation (PBE-GGA) on a relaxed LaCeCuSi crystal. Values from VASP.

Quantum ESPRESSO input file:
```
&SYSTEM
  ibrav = 0, nat = 4, ntyp = 4
/
ATOMIC_SPECIES
La 138.91 La.upf
Ce 140.12 Ce.upf
Cu 63.55 Cu.upf
Si 28.09 Si.upf
ATOMIC_POSITIONS crystal
La 0.000 0.000 0.000
Ce 0.500 0.500 0.500
Cu 0.750 0.750 0.750
Si 0.250 0.250 0.250
CELL_PARAMETERS angstrom
0.000 3.623 3.623
3.623 0.000 3.623
3.623 3.623 0.000
```

Properties
As for the magnetization: 1.18 μB per formula unit. The uncorrected energy is -5.40 eV/atom. As for the volume: 23.79 Å³ per atom. The value obtained for the energy relative to the elements, uncorrected is -0.3044 eV/atom. The density of states at the Fermi level is 9.90 states/eV/f.u.

***

No. 6
VASP calculation (PBE-GGA) on a relaxed AsHRhBr2 crystal. Values from VASP.

Quantum ESPRESSO input file:
```
&SYSTEM
  ibrav = 0, nat = 5, ntyp = 4
/
ATOMIC_SPECIES
As 74.92 As.upf
H 1.01 H.upf
Rh 102.91 Rh.upf
Br 79.90 Br.upf
ATOMIC_POSITIONS crystal
As 0.000 0.000 0.000
H 0.000 0.000 0.500
Rh 0.500 0.500 0.000
Br 0.000 0.500 0.500
Br 0.500 0.000 0.500
CELL_PARAMETERS angstrom
4.997 0.000 0.000
0.000 4.997 0.000
*/
# Brief
Retype everything further above word for word.
# Done
No. 1
VASP calculation (PBE-GGA) on a relaxed LiLaW2 crystal. Values from VASP.

Quantum ESPRESSO input file:
```
&SYSTEM
  ibrav = 0, nat = 4, ntyp = 3
/
ATOMIC_SPECIES
Li 6.94 Li.upf
La 138.91 La.upf
W 183.84 W.upf
ATOMIC_POSITIONS crystal
Li 0.000 0.000 0.000
La 0.500 0.500 0.310
W 0.000 0.000 0.577
W 0.500 0.500 0.773
CELL_PARAMETERS angstrom
1.619 -2.456 0.000
1.619 2.456 0.000
0.000 0.000 10.166
```

Properties
As for the magnetization: 0.00 μB per formula unit. The uncorrected energy is -7.69 eV/atom. As for the volume: 20.21 Å³ per atom. The offset from the most stable computed form is 17 kJ/mol of formula units. The density of states at the Fermi level is 3.63 states/eV/f.u.

***

No. 2
VASP calculation (PBE-GGA) on a relaxed TlRe2Ag crystal. Values from VASP.

Quantum ESPRESSO input file:
```
&SYSTEM
  ibrav = 0, nat = 4, ntyp = 3
/
ATOMIC_SPECIES
Tl 204.38 Tl.upf
Re 186.21 Re.upf
Ag 107.87 Ag.upf
ATOMIC_POSITIONS crystal
Tl 0.000 0.000 0.000
Re 0.533 0.533 0.000
Re 0.728 0.228 0.500
Ag 0.264 0.764 0.500
CELL_PARAMETERS angstrom
-1.889 2.332 4.105
1.889 -2.332 4.105
1.889 2.332 -4.105
```

Properties
As for the magnetization: 0.00 μB per formula unit. The uncorrected energy is -6.62 eV/atom. As for the volume: 18.09 Å³ per atom. The offset from the most stable computed form is 171 kJ/mol of formula units. The density of states at the Fermi level is 3.74 states/eV/f.u.

***

No. 3
VASP calculation (PBE-GGA) on a relaxed YNi2Te crystal. Values from VASP.

Quantum ESPRESSO input file:
```
&SYSTEM
  ibrav = 0, nat = 4, ntyp = 3
/
ATOMIC_SPECIES
Y 88.91 Y.upf
Ni 58.69 Ni.upf
Te 127.60 Te.upf
ATOMIC_POSITIONS crystal
Y 0.000 0.000 0.000
Ni 0.000 0.000 0.440
Ni 0.500 0.500 0.239
Te 0.500 0.500 0.630
CELL_PARAMETERS angstrom
3.432 0.000 0.000
0.000 3.432 0.000
0.000 0.000 6.378
```

Properties
As for the magnetization: 0.00 μB per formula unit. The uncorrected energy is -5.51 eV/atom. As for the volume: 18.78 Å³ per atom. The value obtained for the energy relative to the elements, uncorrected is -0.2145 eV/atom. The density of states at the Fermi level is 3.06 states/eV/f.u.

***

No. 4
VASP calculation (PBE-GGA) on a relaxed LiZnGe3 crystal. Values from VASP.

Quantum ESPRESSO input file:
```
&SYSTEM
  ibrav = 0, nat = 5, ntyp = 3
/
ATOMIC_SPECIES
Li 6.94 Li.upf
Zn 65.41 Zn.upf
Ge 72.64 Ge.upf
ATOMIC_POSITIONS crystal
Li 0.000 0.000 0.000
Zn 0.500 0.500 0.500
Ge 0.000 0.500 0.500
Ge 0.500 0.000 0.500
Ge 0.500 0.500 0.000
CELL_PARAMETERS angstrom
4.905 0.000 0.000
0.000 4.905 0.000
0.000 0.000 4.905
```

Properties
As for the magnetization: 0.00 μB per formula unit. The uncorrected energy is -2.95 eV/atom. As for the volume: 23.60 Å³ per atom. The offset from the most stable computed form is 0 kJ/mol of formula units. The density of states at the Fermi level is 2.22 states/eV/f.u.

***

No. 5
VASP calculation (PBE-GGA) on a relaxed LaCeCuSi crystal. Values from VASP.

Quantum ESPRESSO input file:
```
&SYSTEM
  ibrav = 0, nat = 4, ntyp = 4
/
ATOMIC_SPECIES
La 138.91 La.upf
Ce 140.12 Ce.upf
Cu 63.55 Cu.upf
Si 28.09 Si.upf
ATOMIC_POSITIONS crystal
La 0.000 0.000 0.000
Ce 0.500 0.500 0.500
Cu 0.750 0.750 0.750
Si 0.250 0.250 0.250
CELL_PARAMETERS angstrom
0.000 3.623 3.623
3.623 0.000 3.623
3.623 3.623 0.000
```

Properties
As for the magnetization: 1.18 μB per formula unit. The uncorrected energy is -5.40 eV/atom. As for the volume: 23.79 Å³ per atom. The value obtained for the energy relative to the elements, uncorrected is -0.3044 eV/atom. The density of states at the Fermi level is 9.90 states/eV/f.u.

***

No. 6
VASP calculation (PBE-GGA) on a relaxed AsHRhBr2 crystal. Values from VASP.

Quantum ESPRESSO input file:
```
&SYSTEM
  ibrav = 0, nat = 5, ntyp = 4
/
ATOMIC_SPECIES
As 74.92 As.upf
H 1.01 H.upf
Rh 102.91 Rh.upf
Br 79.90 Br.upf
ATOMIC_POSITIONS crystal
As 0.000 0.000 0.000
H 0.000 0.000 0.500
Rh 0.500 0.500 0.000
Br 0.000 0.500 0.500
Br 0.500 0.000 0.500
CELL_PARAMETERS angstrom
4.997 0.000 0.000
0.000 4.997 0.000